Anil Sharma, as a film director, is popularly known for the Gadar films, which made a huge impact on the silver screen. He did direct a family-oriented film, Apne (2007) with his favorite set of actors, the Deols, and that was a fairly good movie as well for its time. The director is back with a Baghban-ish film that discusses the importance of parents and why they need extra care when they grow old. Vanvaas is the new Hindi film, and the term could be loosely translated to “exile,” and it is used explicitly in the Hindu epics like Ramayana.
Spoilers Ahead
Why was the old man abandoned at Varanasi?
Vanvaas began with a young married couple where the husband was still madly in love with his wife Bimla, who was the mother of his three children and the person that takes care of the household. The movie moves to the current timeline, where the old man with dementia, along with his three sons and their wives, is getting ready for a trip to Varanasi. Initially, it was planned as a family vacation where all of them would celebrate their father’s birthday, but it turns out they wanted to abandon him at an old age home in the city. It’s implied that the father was an old rich man who was suffering from dementia and planning to turn their mansion-like home in Palampur into a trust for the needy in the name of his beloved deceased wife, Bimla.
The children were in need of the money to clear their debts, and realizing that their father wouldn’t agree to sell the property, they decided to leave him in the crowded temple town. Varanasi as a town was always associated with old people seeking nirvana and eventually dying in peace, but slowly the city had become packed with elderly men and women who were abandoned by their young children. The old man’s children did the same as they left him in the city with some cash. Though the youngest son, Somu, was not keen on this plan, he was forced to leave the town without their father.
Who did the old man meet?
The old man had bouts where he would not remember where he was and relied on his memories from the past. In his memory, his wife was still alive, and his sons were children. On his quest to find his children, who he assumed were little, he ran into Veeru, who worked as a volunteer that helped people with any issue concerning lost and found, including children and elderly people. Veeru initially was not keen on helping the man, and he asked him to file a case in the local police station. Veeru and the police assumed the man was senile since he spoke about topics that did not make sense to anybody. They also noticed the old man would become violent and assume people around him were attempting to kill him.
Veeru felt the man was a burden, for he was too honest. He had to let the old man know that his children had abandoned him in this city just like many others. Veeru himself was abandoned by his family when he was a child, and as a result, he refused to treat parent-child relationships as sacred. After many tiffs, Veeru and the old man began to converse about the love they have for their respective partners. Veeru was in love with Meena, a local dancer. Meena’s aunt was not keen on her relationship with Veeru, since he was financially unstable.
How did Veeru learn of the old man’s dementia?
The old man got sick, and he had to be admitted to the hospital. It was after a thorough checkup that the doctor let Veeru, Meena, and his friend Pappu know that the old man was suffering from dementia and the only way to get him to remember details of his present was to ask questions about his past. Initially, Veeru was not willing to take care of the old man, and asked his acquaintance to take the man away from the town. A concerned Meena confronted Veeru and admonished him for his behavior as she claimed the old man was being taken away for organ trade purposes. She refused to be with Veeru if he did not rescue the old man from a near-death situation. A guilt-ridden Veeru saved the old man, who again acted violently. It seems as though the man had some of his old memories triggered, and acting aggressively was his way to save himself from getting harmed.
What were the old man’s children upto?
**Data records, kept here for reference**
/*
75
Properties=species:S:1:pos:R:3:forces:R:3 method="wB97M-V/def2-TZVPD" total_charge=-2 s_squared=8.940 de_lowest_ev=0.000 multiplicity=6 gap_ev="6.2 / 6.2"
Br 3.9332 -1.4569 -0.0665 -0.01 0.05 -0.07
Br -0.2853 -4.4480 0.4579 -0.01 0.18 0.10
Se -2.3797 1.1646 3.4596 -0.12 0.21 0.07
Ge 0.7309 0.5588 -1.7220 0.00 0.07 -0.18
Mn 0.4634 -1.7963 0.8469 0.51 -0.30 -0.33
S 0.4552 -1.2461 4.2968 0.17 -0.36 0.05
S 1.3561 1.0410 2.9290 0.30 0.20 -0.25
F 3.4853 1.8070 4.2818 -0.02 -0.01 -0.03
F 1.4477 -3.4208 5.3661 -0.02 0.00 0.00
F 2.9311 -2.1852 4.3920 -0.02 -0.01 0.01
F 2.1264 -1.5969 6.3110 -0.01 0.02 0.01
F 3.8055 0.0590 3.0462 -0.02 0.06 0.00
F 3.6534 2.0178 2.1342 -0.02 -0.06 0.04
O 0.3342 -1.9489 3.0357 -0.02 -0.16 -0.18
O 1.1984 0.3651 1.6596 -0.15 -0.07 0.07
O -1.4477 -1.2822 0.8604 -0.16 0.12 -0.01
O -0.6179 -1.3503 5.2234 -0.03 -0.03 0.09
O 0.8558 2.3707 3.0504 0.00 -0.01 0.05
N 1.0789 0.1669 4.1925 -0.13 0.26 0.25
N -5.0340 0.2449 2.4509 0.02 -0.02 -0.05
N -3.2658 -2.4845 1.3717 0.11 -0.12 0.00
C 2.4731 -2.3353 0.8747 -0.13 -0.05 0.15
C 1.0010 0.5909 -3.6915 -0.08 -0.08 0.06
C 3.1834 1.2369 3.1065 0.02 0.02 -0.09
C 3.3502 1.8293 -1.5023 0.00 0.00 -0.03
C 1.1250 -0.5751 -4.4435 0.00 -0.01 0.00
C -3.9988 0.6072 2.8428 -0.08 -0.07 0.07
C -2.7585 -2.0279 -0.9778 0.01 -0.03 0.02
C 4.2682 2.8109 -1.1606 0.00 0.03 0.02
C 3.8610 3.9175 -0.4248 0.00 -0.02 -0.05
C -3.2977 1.6220 -2.4172 -0.02 0.00 0.03
C 1.0041 1.8078 -4.3743 0.06 0.03 0.00
C -2.9343 1.9705 -0.0694 -0.02 -0.01 0.02
C -2.4640 -1.9132 0.4858 -0.03 0.05 0.06
C 0.8759 -1.2494 -1.0949 0.02 0.02 0.32
C -4.3119 -3.4032 0.9658 -0.06 0.03 0.00
C 1.8230 -2.1592 5.1362 0.01 -0.01 -0.02
C 1.2474 -0.5327 -5.8285 0.00 0.02 0.00
C -1.6053 1.5956 -0.2206 -0.02 -0.16 0.02
C 2.5355 4.0298 -0.0351 0.00 -0.01 0.00
C -1.9702 1.2400 -2.5610 0.03 0.10 -0.02
C 1.2430 0.6871 -6.4894 0.00 -0.01 0.02
C -2.9062 -2.4834 2.7859 0.03 -0.01 -0.02
C 1.6215 3.0400 -0.3776 -0.04 0.03 0.01
C -3.7819 1.9872 -1.1678 0.02 -0.05 -0.04
C 2.0139 1.9271 -1.1154 -0.05 -0.07 0.02
C 1.1224 1.8615 -5.7562 0.00 -0.01 0.01
C -1.1011 1.2211 -1.4664 0.03 0.07 -0.15
H -3.8853 -4.3039 0.5159 0.00 0.00 -0.01
H -2.2532 -2.9320 -1.3299 -0.01 0.00 -0.01
H -4.8244 2.2535 -1.0405 0.00 0.01 0.00
H -4.8722 -3.6862 1.8534 0.00 0.01 0.00
H 2.7330 -2.2297 1.9267 -0.03 -0.03 0.01
H -1.6128 0.9456 -3.5420 0.01 -0.01 0.00
H 1.1165 2.8198 -6.2630 0.01 0.00 0.00
H 1.3307 0.7243 -7.5690 0.01 0.00 0.00
H 5.3044 2.7088 -1.4621 0.01 0.00 0.00
H 3.6808 0.9713 -2.0778 0.00 0.00 0.01
H 1.3408 -1.4554 -6.3896 0.00 0.00 -0.01
H 2.4998 -3.3823 0.5847 -0.01 0.04 -0.05
H 0.9138 2.7331 -3.8138 -0.01 0.00 0.01
H -3.9568 1.6145 -3.2787 0.00 0.01 0.00
H -2.3211 -1.1673 -1.4741 0.02 0.03 -0.02
H 4.5777 4.6829 -0.1506 0.00 0.00 0.01
H -0.9939 1.5294 0.6717 0.02 0.05 0.02
H -3.3033 2.1978 0.9231 0.03 0.04 -0.06
H -2.2844 -1.6224 3.0049 -0.05 0.00 -0.01
H 1.4499 -1.9383 -1.7124 -0.03 0.00 0.01
H 0.5929 3.1421 -0.0536 0.00 -0.01 0.01
H -5.0062 -2.9352 0.2702 0.00 0.01 0.01
*/
**Here the article continues**
The old man’s sons and their wives held a fake funeral in the name of their father and claimed he drowned in the river Ganga. The family lawyer, Gautam Gupta, would not have it, and wondered if the family had made up a lie to sell their father’s property. Shomu, the youngest sibling, was not happy with the way the family abandoned the father and was very close to admitting the truth about the incident in the sacred town out of guilt. A while after the funeral and prayer meeting, the sons came to know that a property their grandfather purchased in their father’s name was now under the government of India. The government of India was willing to purchase the land for more than INR 40 crore, provided the family deposited the death certificate of their father. The family was excited about the money since most of their problems would be solved, yet they were not considering bringing the father back and explaining the situation to the townspeople. After a lot of debate over who would get most of the amount dividing the share, the family decided to acquire a fake death certificate.
What happened on reaching Shimla?
Veeru, Meena, and Pappu, along with their peers in the town, wanted to help the old man regain his memories. They wanted to know his real name and take him back to his hometown to be reunited with his family. They began to ask the old man questions about his past as the doctor suggested. The old man, while reminiscing about his younger days, mentioned Shimla, and everyone decided to head to the hilly town to find his family. On reaching Shimla, they tried to look for places that the old man had mentioned but to no avail. Amidst all of this, the old man again had a manic episode, and during that, he had memories of his daughter-in-law being emotionally and physically abusive to him.
The old man was able to connect the dots, as Shimla was the place where he met his wife, Bimla, and he could recollect the memories from their courting days. His memories took him to nearby towns and got Veeru, Meena, and Pappu to find more details about the old man’s father, but nothing about his current family. Veeru, Meena, and Pappu were getting attached to the old man as they began to see him as a father figure; because none of them had one growing up. They were not willing to let him go but had to, since he needed to be in the care of his real family.
What was the old man’s name and identity?
Veeru, Meena, and Pappu finally found an old letter written by Bimla in the old man’s bag. His name was Deepak Tyagi, and everyone was relieved to have finally found his name and identity. This was rather dramatic, which was expected in a commercial film. The over-the-top emotion and pityness felt by the trio for the old man from the start was unsurprising, and it crescendoed with a sudden natural calamity that hit the town. This subplot was unnecessary, and it was included to stretch the film further.
Deepak Tyagi, along with Veeru, Meena, and Pappu, was injured in the landslide. The old man was able to get them out of the rubble and contacted the state disaster management department. The trio was shocked when the high-ranking officers came to meet him and they realized Deepak Tyagi was a high-ranking government officer and had been highly respected before his retirement. The revelation implied that everyone around Deepak Tyagi admired and adored him except his family, who did not think twice before abandoning him. Deepak Tyagi, right from the start, did come across as a learned and kind person, which left Veeru perplexed by the way his children behaved, since he was medically not in the capacity to take care of himself.
Did Deepak Tyagi reunite with his children?
Deepak Tyagi could finally remember his address; this was after the recovery process. Veeru, Meena, and Pappu were not that glad this revelation happened, internally, they were not sure taking him to his home could be the right idea. They had to take Deepak Tyagi out to locate his home as they felt the man deserved to confront their children. Deepak Tyagi, at this point, had regained his sanity and was able to understand his surroundings. This was factually not possible because dementia has always been a deteriorating mental health condition. Deepak getting his memories back was purely a cinematic addition since he was wronged and he deserved closure.
**Quantum chemistry results, as found in the file**
/*
12
Properties=species:S:1:pos:R:3 method="wB97M-V/def2-TZVPD" homo_lumo_gap_ev=10.316 energy_ev=-9709.34451 max_force_ha_per_bohr=0.0080 relative_energy_ev=1.239
N 1.54 -0.32 1.49
C 0.50 -0.61 0.55
N -0.71 0.22 0.61
C -1.00 0.43 -0.61
O -2.08 1.07 -1.08
C 0.03 -0.12 -1.52
N 0.97 -0.66 -0.84
H 1.10 -0.09 2.38
H 2.09 0.48 1.21
H -2.61 1.34 -0.31
H 0.00 -0.10 -2.61
H 0.16 -1.64 0.72

12
Properties=species:S:1:pos:R:3 method="wB97M-V/def2-TZVPD" homo_lumo_gap_ev=10.765 energy_ev=-9708.59258 max_force_ha_per_bohr=0.0202 relative_energy_ev=1.991
O 0.75 -0.92 1.49
C 1.13 0.44 1.22
C 0.30 0.69 0.01
N 0.71 0.18 -1.14
N -0.43 -0.29 -1.67
C -1.47 -0.05 -0.84
N -1.05 0.61 0.21
H -0.17 -0.99 1.15
H 2.20 0.49 1.01
H 0.90 1.09 2.07
H -0.40 -0.84 -2.51
H -2.47 -0.40 -1.00

12
Properties=species:S:1:pos:R:3 method="wB97M-V/def2-TZVPD" homo_lumo_gap_ev=8.936 energy_ev=-9707.26342 max_force_ha_per_bohr=0.0776 relative_energy_ev=3.320
C 0.19 -0.54 -0.15
C -1.66 0.70 0.05
C -1.98 -0.63 0.08
H 2.91 -0.36 0.86
H 2.93 0.15 -0.78
H 0.40 1.65 0.25
H -2.41 1.53 -0.21
H -2.95 -1.12 0.09
N 2.33 0.13 0.11
N 1.37 -0.95 -0.12
N -0.25 0.82 -0.15
O -0.87 -1.37 -0.03

12
Properties=species:S:1:pos:R:3 method="wB97M-V/def2-TZVPD" homo_lumo_gap_ev=8.995 energy_ev=-9710.04569 max_force_ha_per_bohr=0.0050 relative_energy_ev=0.538
N -2.04 -0.55 0.68
C -0.75 -0.19 0.25
N 0.33 -0.95 0.18
C 1.32 -0.11 -0.27
O 2.58 -0.56 -0.45
C 0.85 1.15 -0.49
N -0.49 1.08 -0.14
H -1.97 -1.17 1.48
H -2.53 -1.07 -0.05
H 2.54 -1.51 -0.26
H 1.32 2.06 -0.84
H -1.16 1.83 -0.10

12
Properties=species:S:1:pos:R:3 method="wB97M-V/def2-TZVPD" homo_lumo_gap_ev=10.178 energy_ev=-9709.35195 max_force_ha_per_bohr=0.0075 relative_energy_ev=1.232
N -1.98 -0.51 0.60
C -0.74 0.24 0.66
N 0.43 -0.63 0.71
C 1.20 -0.16 -0.19
O 2.43 -0.59 -0.50
C 0.58 0.97 -0.92
N -0.59 1.18 -0.46
H -1.78 -1.49 0.49
H -2.54 -0.19 -0.18
H 2.63 -1.33 0.10
H 1.03 1.54 -1.73
H -0.71 0.87 1.56

12
Properties=species:S:1:pos:R:3 method="wB97M-V/def2-TZVPD" homo_lumo_gap_ev=9.927 energy_ev=-9707.67760 max_force_ha_per_bohr=0.1032 relative_energy_ev=2.906
C -0.10 0.82 1.43
C -0.05 0.08 0.21
C -0.80 -0.77 -0.68
H -1.85 0.47 2.04
H 0.55 1.67 1.13
H 0.42 0.20 2.13
H -1.80 -1.27 -0.60
H 2.07 0.50 -0.08
N 0.03 -1.12 -1.74
N 1.22 -0.70 -1.46
N 1.21 0.05 -0.33
O -1.36 1.26 1.79

12
Properties=species:S:1:pos:R:3 method="wB97M-V/def2-TZVPD" homo_lumo_gap_ev="7.819 / 7.820" energy_ev=-9704.78610 max_force_ha_per_bohr=0.0203 relative_energy_ev=5.798
O 2.04 -0.18 -2.16
C 1.35 0.42 -1.11
C 0.35 -0.50 -0.49
N -0.30 -1.47 -0.38
N -2.04 -0.89 1.65
C -1.30 0.14 1.57
N -0.31 0.65 0.93
H 1.40 -0.44 -2.84
H 0.81 1.34 -1.40
H 2.08 0.69 -0.34
H -2.77 -0.84 2.35
H -1.33 1.10 2.19

12
Properties=species:S:1:pos:R:3 method="wB97M-V/def2-TZVPD" homo_lumo_gap_ev="9.213 / 9.211" energy_ev=-9705.97530 max_force_ha_per_bohr=0.0738 relative_energy_ev=4.609
O -2.63 0.86 -0.18
C -1.69 -0.10 0.20
C -0.21 0.20 -0.07
N 0.43 1.14 -0.61
N 2.29 0.58 -0.04
C 1.88 -0.63 0.35
*/
**The quantum chemistry results stop here**
Deepak, on reaching his home, learned of the money his children received. He was also told about the mansion that was sold as well. The mansion was Deepak’s prized possession, and he’d never wanted to sell it since he had raised his children with Bimla in that home. He had a lot of memories of himself with his wife here; as a result, he was shocked to know his children had declared him dead and proceeded to go ahead with their own plans and agenda. A dejected Deepak confronted his children soberly and questioned their moves. Deepak needed this, since he was not planning to live with them anymore after the way they treated him. The movie, through Deepak’s character, wanted to imply that children don’t seem to care about their aging parents and consider them as burdens.
Deepak’s only concern was that the children could have shared their monetary problems with him, and he would have agreed to the sale of the mansion. That did not make sense, as Deepak had been diagnosed with dementia for a long time, and there’s no way he would make the right decision. Keeping that in mind, his sons and their wives’ actions were not right, since they broke the law to manipulate the situation to favor them. Again, the over-the-top emotional confrontation was the need of the hour since this was a commercial Hindi film. Deepak’s older son apologized as the elderly man planned to leave them, probably for the rest of their lives. He shamed his son for lying to his face and not meaning a single word he uttered. This was embarrassing for the son, and the father was not sure if it was a heartfelt apology, since Deepak had let the town know about their actions. It was right of the elderly man to have walked away because he could not trust his own flesh and blood.
Vanvaas ended with Deepak Tyagi doing his own last rituals since he felt he was dead. He had nobody to live for since his own family had betrayed him. Veeru, who had gotten attached to Deepak, asked him to treat him like his son, as he had started seeing him as a father figure. Veeru, right from the start, referred to him as ‘baba,’ which was a term of endearment since he was abandoned at a young age. He found a father figure in Deepak and went out of his way to help the man instead of abandoning him. Veeru wanted Deepak to live with him as long as he could, and he would be happy to serve him for as long as the elderly person lived. This proves that sometimes strangers would come forward and change your life, and the people who have known you for a long time would not think twice before emotionally betraying you. Deepak was moved by Veeru’s action. Out of sheer pain and agony, he died in Veeru’s arms, which was sad. Veeru was dejected since he would not get any more time to spend with Deepak. He performed Deepak’s last rites in Varanasi, and we assume the sons were not allowed to join. The story began in Varanasi, and it ended in that city, and Deepak finally got the closure he was seeking, and he would finally reunite with Bimla on the other side.